**Wanted**
Transcribe everything underneath character by character.
**Entries**
Record 1
The following is a DFT calculation (GGA-PBE) of a relaxed ErMgPa crystal.

CIF file:
```
data_ErMgPa
_chemical_formula_sum 'Er2 Mg2 Pa2'
_cell_length_a 3.3451
_cell_length_b 3.3451
_cell_length_c 13.9415
_cell_angle_alpha 90.00
_cell_angle_beta 90.00
_cell_angle_gamma 90.00
_symmetry_space_group_name_H-M 'P 4/n m m'
_symmetry_Int_Tables_number 129
loop_
_symmetry_equiv_pos_as_xyz
'x,y,z'
'-x,-y,-z'
'-y+1/2,x,z'
'y+1/2,-x,-z'
'-x+1/2,-y+1/2,z'
'x+1/2,y+1/2,-z'
'y,-x+1/2,z'
'-y,x+1/2,-z'
'x+1/2,-y,-z'
'-x+1/2,y,z'
'-y,-x,-z'
'y,x,z'
'-x,y+1/2,-z'
'x,-y+1/2,z'
'y+1/2,x+1/2,-z'
'-y+1/2,-x+1/2,z'
loop_
_atom_site_label
_atom_site_type_symbol
_atom_site_fract_x
_atom_site_fract_y
_atom_site_fract_z
Er1 Er 0.2500 0.2500 0.2457
Mg1 Mg 0.2500 0.2500 0.9273
Pa1 Pa 0.2500 0.2500 0.5818
```

Computed properties:
Raw total energy, eV per atom: -5.202
Calculated density, g/cm3: 9.00
M_tot, μB/f.u.: 0.0
DFT formation energy, eV/f.u.: 0.05

Record 2
The following is a DFT calculation (GGA-PBE) of a relaxed ErMg2Pa crystal.

CIF file:
```
data_ErMg2Pa
_chemical_formula_sum 'Er1 Mg2 Pa1'
_cell_length_a 3.1937
_cell_length_b 3.1937
_cell_length_c 9.8737
_cell_angle_alpha 90.00
_cell_angle_beta 90.00
_cell_angle_gamma 90.00
_symmetry_space_group_name_H-M 'P 4/m m m'
_symmetry_Int_Tables_number 123
_symmetry_space_group_name_Hall '-P 4 2'
loop_
_atom_site_label
_atom_site_type_symbol
_atom_site_fract_x
_atom_site_fract_y
_atom_site_fract_z
Er1 Er 0.0000 0.0000 0.0000
Mg1 Mg 0.5000 0.5000 0.2495
Pa1 Pa 0.0000 0.0000 0.5000
```

Computed properties:
Raw total energy, eV per atom: -4.149
Calculated density, g/cm3: 7.37
M_tot, μB/f.u.: 0.7
DFT formation energy, eV/f.u.: 0.65

Record 3
The following is a DFT calculation (GGA-PBE) of a relaxed PrErMgPa crystal.

CIF file:
```
data_PrErMgPa
_chemical_formula_sum 'Pr4 Er4 Mg4 Pa4'
_cell_length_a 7.6823
_cell_length_b 7.6823
_cell_length_c 7.6823
_cell_angle_alpha 90.00
_cell_angle_beta 90.00
_cell_angle_gamma 90.00
_symmetry_space_group_name_H-M 'F -4 3 m'
_symmetry_Int_Tables_number 216
_symmetry_space_group_name_Hall 'F -4 2 3'
loop_
_atom_site_label
_atom_site_type_symbol
_atom_site_fract_x
_atom_site_fract_y
_atom_site_fract_z
Pr1 Pr 0.0000 0.0000 0.0000
Er1 Er 0.0000 0.0000 0.5000
Mg1 Mg 0.2500 0.2500 0.2500
Pa1 Pa 0.2500 0.2500 0.7500
```

Computed properties:
Raw total energy, eV per atom: -4.764
Calculated density, g/cm3: 8.26
M_tot, μB/f.u.: 0.0
DFT formation energy, eV/f.u.: 1.38

Record 4
The following is a DFT calculation (GGA-PBE) of a relaxed ErMgScPa crystal.

CIF file:
```
data_ErMgScPa
_chemical_formula_sum 'Er4 Mg4 Sc4 Pa4'
_cell_length_a 7.4503
_cell_length_b 7.4503
_cell_length_c 7.4503
_cell_angle_alpha 90.00
_cell_angle_beta 90.00
_cell_angle_gamma 90.00
_symmetry_space_group_name_H-M 'F -4 3 m'
_symmetry_Int_Tables_number 216
_symmetry_space_group_name_Hall 'F -4 2 3'
loop_
_atom_site_label
_atom_site_type_symbol
_atom_site_fract_x
_atom_site_fract_y
_atom_site_fract_z
Er1 Er 0.0000 0.0000 0.0000
Mg1 Mg 0.2500 0.2500 0.2500
Sc1 Sc 0.0000 0.0000 0.5000
Pa1 Pa 0.2500 0.2500 0.7500
```

Computed properties:
Raw total energy, eV per atom: -5.167
Calculated density, g/cm3: 7.51
M_tot, μB/f.u.: 2.4
DFT formation energy, eV/f.u.: 1.32

Record 5
The following is a DFT calculation (GGA-PBE) of a relaxed TbErMgPa crystal.

CIF file:
```
data_TbErMgPa
_chemical_formula_sum 'Tb4 Er4 Mg4 Pa4'
_cell_length_a 7.6280
_cell_length_b 7.6280
_cell_length_c 7.6280
_cell_angle_alpha 90.00
_cell_angle_beta 90.00
_cell_angle_gamma 90.00
_symmetry_space_group_name_H-M 'F -4 3 m'
_symmetry_Int_Tables_number 216
_symmetry_space_group_name_Hall 'F -4 2 3'
loop_
_atom_site_label
_atom_site_type_symbol
_atom_site_fract_x
_atom_site_fract_y
_atom_site_fract_z
Tb1 Tb 0.0000 0.0000 0.0000
Er1 Er 0.0000 0.0000 0.5000
Mg1 Mg 0.2500 0.2500 0.7500
Pa1 Pa 0.2500 0.2500 0.2500
```

Computed properties:
Raw total energy, eV per atom: -4.726
Calculated density, g/cm3: 8.70
M_tot, μB/f.u.: 1.9
**Completed**
Record 1
The following is a DFT calculation (GGA-PBE) of a relaxed ErMgPa crystal.

CIF file:
```
data_ErMgPa
_chemical_formula_sum 'Er2 Mg2 Pa2'
_cell_length_a 3.3451
_cell_length_b 3.3451
_cell_length_c 13.9415
_cell_angle_alpha 90.00
_cell_angle_beta 90.00
_cell_angle_gamma 90.00
_symmetry_space_group_name_H-M 'P 4/n m m'
_symmetry_Int_Tables_number 129
loop_
_symmetry_equiv_pos_as_xyz
'x,y,z'
'-x,-y,-z'
'-y+1/2,x,z'
'y+1/2,-x,-z'
'-x+1/2,-y+1/2,z'
'x+1/2,y+1/2,-z'
'y,-x+1/2,z'
'-y,x+1/2,-z'
'x+1/2,-y,-z'
'-x+1/2,y,z'
'-y,-x,-z'
'y,x,z'
'-x,y+1/2,-z'
'x,-y+1/2,z'
'y+1/2,x+1/2,-z'
'-y+1/2,-x+1/2,z'
loop_
_atom_site_label
_atom_site_type_symbol
_atom_site_fract_x
_atom_site_fract_y
_atom_site_fract_z
Er1 Er 0.2500 0.2500 0.2457
Mg1 Mg 0.2500 0.2500 0.9273
Pa1 Pa 0.2500 0.2500 0.5818
```

Computed properties:
Raw total energy, eV per atom: -5.202
Calculated density, g/cm3: 9.00
M_tot, μB/f.u.: 0.0
DFT formation energy, eV/f.u.: 0.05

Record 2
The following is a DFT calculation (GGA-PBE) of a relaxed ErMg2Pa crystal.

CIF file:
```
data_ErMg2Pa
_chemical_formula_sum 'Er1 Mg2 Pa1'
_cell_length_a 3.1937
_cell_length_b 3.1937
_cell_length_c 9.8737
_cell_angle_alpha 90.00
_cell_angle_beta 90.00
_cell_angle_gamma 90.00
_symmetry_space_group_name_H-M 'P 4/m m m'
_symmetry_Int_Tables_number 123
_symmetry_space_group_name_Hall '-P 4 2'
loop_
_atom_site_label
_atom_site_type_symbol
_atom_site_fract_x
_atom_site_fract_y
_atom_site_fract_z
Er1 Er 0.0000 0.0000 0.0000
Mg1 Mg 0.5000 0.5000 0.2495
Pa1 Pa 0.0000 0.0000 0.5000
```

Computed properties:
Raw total energy, eV per atom: -4.149
Calculated density, g/cm3: 7.37
M_tot, μB/f.u.: 0.7
DFT formation energy, eV/f.u.: 0.65

Record 3
The following is a DFT calculation (GGA-PBE) of a relaxed PrErMgPa crystal.

CIF file:
```
data_PrErMgPa
_chemical_formula_sum 'Pr4 Er4 Mg4 Pa4'
_cell_length_a 7.6823
_cell_length_b 7.6823
_cell_length_c 7.6823
_cell_angle_alpha 90.00
_cell_angle_beta 90.00
_cell_angle_gamma 90.00
_symmetry_space_group_name_H-M 'F -4 3 m'
_symmetry_Int_Tables_number 216
_symmetry_space_group_name_Hall 'F -4 2 3'
loop_
_atom_site_label
_atom_site_type_symbol
_atom_site_fract_x
_atom_site_fract_y
_atom_site_fract_z
Pr1 Pr 0.0000 0.0000 0.0000
Er1 Er 0.0000 0.0000 0.5000
Mg1 Mg 0.2500 0.2500 0.2500
Pa1 Pa 0.2500 0.2500 0.7500
```

Computed properties:
Raw total energy, eV per atom: -4.764
Calculated density, g/cm3: 8.26
M_tot, μB/f.u.: 0.0
DFT formation energy, eV/f.u.: 1.38

Record 4
The following is a DFT calculation (GGA-PBE) of a relaxed ErMgScPa crystal.

CIF file:
```
data_ErMgScPa
_chemical_formula_sum 'Er4 Mg4 Sc4 Pa4'
_cell_length_a 7.4503
_cell_length_b 7.4503
_cell_length_c 7.4503
_cell_angle_alpha 90.00
_cell_angle_beta 90.00
_cell_angle_gamma 90.00
_symmetry_space_group_name_H-M 'F -4 3 m'
_symmetry_Int_Tables_number 216
_symmetry_space_group_name_Hall 'F -4 2 3'
loop_
_atom_site_label
_atom_site_type_symbol
_atom_site_fract_x
_atom_site_fract_y
_atom_site_fract_z
Er1 Er 0.0000 0.0000 0.0000
Mg1 Mg 0.2500 0.2500 0.2500
Sc1 Sc 0.0000 0.0000 0.5000
Pa1 Pa 0.2500 0.2500 0.7500
```

Computed properties:
Raw total energy, eV per atom: -5.167
Calculated density, g/cm3: 7.51
M_tot, μB/f.u.: 2.4
DFT formation energy, eV/f.u.: 1.32

Record 5
The following is a DFT calculation (GGA-PBE) of a relaxed TbErMgPa crystal.

CIF file:
```
data_TbErMgPa
_chemical_formula_sum 'Tb4 Er4 Mg4 Pa4'
_cell_length_a 7.6280
_cell_length_b 7.6280
_cell_length_c 7.6280
_cell_angle_alpha 90.00
_cell_angle_beta 90.00
_cell_angle_gamma 90.00
_symmetry_space_group_name_H-M 'F -4 3 m'
_symmetry_Int_Tables_number 216
_symmetry_space_group_name_Hall 'F -4 2 3'
loop_
_atom_site_label
_atom_site_type_symbol
_atom_site_fract_x
_atom_site_fract_y
_atom_site_fract_z
Tb1 Tb 0.0000 0.0000 0.0000
Er1 Er 0.0000 0.0000 0.5000
Mg1 Mg 0.2500 0.2500 0.7500
Pa1 Pa 0.2500 0.2500 0.2500
```

Computed properties:
Raw total energy, eV per atom: -4.726
Calculated density, g/cm3: 8.70
M_tot, μB/f.u.: 1.9